The last time my mother saw her mother, several years before I was born, Mama said, she stood in the dusty road in front of their farm house and watched and waved as her mother's horse-drawn carriage could be seen as just a puff of dust down the long country road.
A few months later she got word that her mother was dying and she took a train to go to Griffin from their farm near Covington and when she got there her mother had already died. It was so traumatic for my mother that she would never again watch anyone out of sight.
_Data records that have nothing to do with the page_
No. 1
PBE-GGA CaO2, optimized geometry; ΔE_f = -6.62 eV/f.u.; VASP energy = -17.6 eV for the cell shown
1.0
-2.711 1.332 1.319
-1.206 -3.015 0.567
3.481 0.824 2.204
Ca O
1 2
Direct
0.500 0.500 0.000
0.891 0.891 0.783
0.109 0.109 0.217

=====

No. 2
PBE-GGA Mn3Se2N2, optimized geometry; total magnetic moment = 45.27 μB per cell; ΔE_f = -1.69 eV/f.u.; VASP energy = -416.9 eV for the cell shown
1.0
-8.496 -5.875 -13.196
9.668 -12.892 -0.484
-2.099 -1.652 2.087
Mn Se N
24 16 16
Direct
0.066 0.020 0.031
0.934 0.980 0.531
0.434 0.520 0.531
0.566 0.480 0.031
0.013 0.557 0.530
0.987 0.443 0.030
0.487 0.057 0.030
0.513 0.943 0.530
0.144 0.425 0.030
0.856 0.575 0.530
0.356 0.925 0.530
0.644 0.075 0.030
0.101 0.875 0.530
0.899 0.125 0.030
0.399 0.375 0.030
0.601 0.625 0.530
0.737 0.534 0.031
0.263 0.466 0.531
0.763 0.034 0.531
0.237 0.966 0.031
0.379 0.130 0.530
0.621 0.870 0.030
0.121 0.630 0.030
0.879 0.370 0.530
0.763 0.931 0.030
0.237 0.069 0.530
0.737 0.431 0.530
0.263 0.569 0.030
0.982 0.663 0.030
0.018 0.337 0.530
0.518 0.163 0.530
0.482 0.837 0.030
0.043 0.166 0.031
0.957 0.834 0.531
0.457 0.666 0.531
0.543 0.334 0.031
0.840 0.270 0.031
0.160 0.730 0.531
0.660 0.770 0.531
0.340 0.230 0.031
0.145 0.915 0.030
0.855 0.085 0.530
0.355 0.415 0.530
0.645 0.585 0.030
0.182 0.398 0.530
0.818 0.602 0.030
0.318 0.898 0.030
0.682 0.102 0.530
0.450 0.481 0.031
0.550 0.519 0.531
0.050 0.981 0.531
0.950 0.019 0.031
0.428 0.019 0.530
0.572 0.981 0.030
0.072 0.519 0.030
0.928 0.481 0.530

=====

No. 3
PBE-GGA CaTi2S5, optimized geometry; total magnetic moment = 0.00 μB per cell; ΔE_f = -13.40 eV/f.u.; VASP energy = -98.7 eV for the cell shown
1.0
-0.595 4.204 -0.505
-3.618 -1.082 -4.745
-11.467 -0.556 8.869
Ca Ti S
2 4 10
Direct
0.500 0.128 0.000
0.000 0.872 0.500
0.000 0.602 0.847
0.500 0.398 0.653
0.500 0.398 0.347
0.000 0.602 0.153
0.500 0.538 0.500
0.000 0.462 0.000
0.500 0.426 0.825
0.000 0.574 0.675
0.500 0.426 0.175
0.000 0.574 0.325
0.000 0.951 0.124
0.500 0.049 0.376
0.500 0.049 0.624
0.000 0.951 0.876

=====

No. 4
PBE-GGA BaIn2P2, optimized geometry; total magnetic moment = 0.01 μB per cell; ΔE_f = -2.81 eV/f.u.; VASP energy = -84.2 eV for the cell shown
1.0
4.251 0.000 0.000
0.000 10.164 0.000
0.000 1.058 13.099
Ba In P
4 8 8
Direct
0.250 0.439 0.846
0.750 0.561 0.154
0.250 0.840 0.409
0.750 0.160 0.591
0.750 0.552 0.595
0.250 0.448 0.405
0.250 0.044 0.835
0.750 0.956 0.165
0.750 0.189 0.035
0.250 0.811 0.965
0.750 0.772 0.717
0.250 0.228 0.283
0.750 0.200 0.834
0.250 0.800 0.166
0.250 0.392 0.607
0.750 0.608 0.393
0.250 0.921 0.662
0.750 0.079 0.338
0.750 0.671 0.911
0.250 0.329 0.089

=====

No. 5
PBE-GGA NaGe4Pb3O12, optimized geometry; total magnetic moment = 4.00 μB per cell; ΔE_f = -37.88 eV/f.u.; VASP energy = -479.9 eV for the cell shown
1.0
7.557 0.000 0.000
0.000 10.428 0.000
0.000 0.000 15.709
Na Ge Pb O
4 16 12 48
Direct
0.500 0.000 0.500
0.000 0.500 0.000
0.500 0.500 0.000
0.000 0.000 0.500
0.796 0.294 0.123
0.204 0.294 0.877
Even when she was old and we would visit, Mama would kiss us goodbye in the house or on the porch but she would always turn to go back inside before we got in our car. Mama was never a superstitious type person. But this continued to be a sad memory of the long goodbye to her dear mother for the last time.
It occures to me as I write, that my way of saying “goodbye” is not to stand in driveways and wave as my husband always did. And it probably goes back to this model from my early childhood.
Most of us are not that extreme about goodbyes, but we often say “I’ll see you again” or “you all come” or something besides “goodbye.” Actually the word “goodbye” is a comforting thought. In just about every language it is a blessing. It is really a shortened form of “God be with you.”
I could stand up here and bore you with many accounts of goodbyes and “going away times” because Charles and I were in the Itinerant ministry of the Methodist Church for 35 years and I alone in the years since 1986 when my husband died. We never said goodbye from any pastorate without tears and prayers. Often we have received "going away" gifts.
When my husband and I and our family were moving from Rome Georgia in 1968 after nearly 6 years at Trinity, the ladies of the church gave me (as their pastor’s wife) a surprise “Going Away Shower” of personal gifts like gowns, jewelry and hose.
Today I want us to look at this Scripture in the Gospel of John about Jesus going away from his disciples. The disciples did not give Jesus a “going away gift” but Jesus gave them and all of us a gift and it occurs to me it was not just a gift but a shower of gifts that keeps on giving!
Jesus had great concern for these frightened, grieving disciples. He called them His “little children” and he told them He is not leaving them comfortless. Jesus is not leaving them “orphans” with no one to care for them. Jesus assures them and us that he is sending a “helper.”
Have you ever wished for a “helper?” Husbands and wives are often helpers to one another. When I think of all the things I used to do for my husband, especially when he was to conduct a funeral. A funeral is so very important to most people, and the pastor doesn’t have much notice and there are all kinds of emotions, Often, he/she has many other things to do at the same time and his or her other work goes on.
I used to check and lay out my husband’s clothes to wear. Even when he had a secretary, he usually prepared at home for a funeral, would often ask me to type up a poem or an order of worship so as to give a copy to the organist, the soloist and the funeral director. I have cleaned out and sometimes washed his car so it would not be the dirtiest car in the funeral procession.
Much of this, people can now hire someone to do, but to have someone at our fingertips to anticipate the need and do whatever needs to be done is what many good wives and husbands do for each other.
There are times when we need help beyond just a physical helper. So Jesus anticipated our greatest need and he sent us a “helper”. He sent the Holy Spirit, closer than breathing and nearer than hands and feet.
This helper, this Paraclete is God’s gift to us…a going away gift from Jesus to His disciples and to us who come after them. PARACLETE is the English translation for the title John uses for the Holy Spirit…this “Holy Companion.” Paraclete is a wonderful word. There is no single word in our English that can express the rich and powerful meaning of “paraclete.” “Para” in the Greek means “alongside” and the root of “kletos” is “to call, ” So this Paraclete, the HOLY SPIRIT, is a helper “alongside,” When we try to describe the Holy Spirit, the Paraclete, the Helper, we need a bunch of words, not just one word; Encourager, Counselor, an Advocate, a Witness , truly a “shower of gifts”
In verses 18-and 19 Jesus says, “My peace I leave with you, my peace I give unto you, not as the world gives, let not your hearts be troubled, neither let them be afraid.” We all search for peace. We all search for something to help us cope with the problems of life. This peace that Jesus gives is not always a force to protect us from the wounds of life, but a force inside to empower us for living. Jesus said, “You shall receive Power after the Holy Spirit has come upon you.”
This “going away” gift of the Holy Spirit is not only for the Disciples but for all believers who come after them. POWER, PEACE, ENCOURAGEMENT, HELP, COUNCIL, ADVOCACY . . .this is the wonderful going away shower of gifts that is just right for all and more far reaching and wonderful than any loving spouse or pastor or friend. This is not a gift to the world because the world neither sees God nor knows Him. As the world is blind to Jesus, so they are blind to the Holy Spirit, The Paraclete, the Helper.
A story I like to tell, is about a little girl in the days when people rode trains with sleepers. She was put to bed in a top bunk and because she was very fearful in her strange surroundings, she was told that that God would watch over her. As everyone got quiet trying to sleep, the little girl became afraid and called out, “Mommy, are you there?” The mother assured her that she was there. A little later, she called out louder, “Daddy, are you there?” The father tried to reassure her that he was nearby also. After this went on for a while, one of the other passengers on the train lost his patience and said, “Yes, we are all here. Your mommy, your daddy, your brother, all your aunts and cousins. Now please settle down and go to sleep!”
The little girl was silent for a moment and then quietly asked, “Mommy, was that God?”
Jesus, in offering us the gift of peace, does not say, “I’m here, God is here, the Holy Spirit is here. Now be at peace!” In other words, Jesus does not treat us like a frightened child saying, “Shut up and get quiet. I’m giving you whatever you want"
Sometimes God has to say “no” to our requests…like a loving parent who understands our needs and who wants to “grow us up. Part of the work of the Holy Spirit is to grow us up to “Christian maturity”. … maturity that manifests itself with love, joy , peace and the other fruits of the spirit.
Too many of us are still babies in Christ. God wants to grow us up into mature and happy, witnessing Christians
I am a long time student and taught Methodist and Christian history in many of the churches where my husband served as pastor. The early Methodist circuit riders rode west with the first settlers in this country… and their spirit filled sermons were used of God to changed the face of America…there is at least one Methodist church in every county in the United States.
_Records of crystals, kept here for reference_
'''
A plane-wave DFT calculation with r²SCAN was carried out for a relaxed structure of HoGaO3.

Total magnetic moment in μB/cell: 0.0
Formation enthalpy at 0 K in kJ/mol of formula units: -1467

Geometry as POSCAR:
```
HoGaO3
1.0
3.0067 -5.2077 0.0000
3.0067 5.2077 0.0000
0.0000 0.0000 11.6363
O Ho Ga
18 6 6
direct
0.6396 0.6396 0.8353
0.0000 0.3604 0.8353
0.3333 0.6667 0.0156
0.6941 0.6941 0.1595
0.3604 0.0000 0.8353
0.3059 0.0000 0.1595
0.6667 0.3333 0.5156
0.0000 0.0000 0.9745
0.6667 0.3333 0.0156
0.3333 0.6667 0.5156
0.0000 0.6941 0.6595
0.6941 0.0000 0.6595
0.3604 0.3604 0.3353
0.6396 0.0000 0.3353
0.3059 0.3059 0.6595
0.0000 0.0000 0.4745
0.0000 0.3059 0.1595
0.0000 0.6396 0.3353
0.3333 0.6667 0.2298
0.0000 0.0000 0.2716
0.6667 0.3333 0.2298
0.0000 0.0000 0.7716
0.3333 0.6667 0.7298
0.6667 0.3333 0.7298
0.0000 0.3342 0.9968
0.3342 0.0000 0.9968
0.0000 0.6659 0.4968
0.6659 0.6659 0.9968
0.6659 0.0000 0.4968
0.3341 0.3341 0.4968
```

=====

1.
Material: Li8NiO4F2
Method: DFT, GGA+U
State: optimized geometry

Properties
volume	9.10	Å³/atom
mass density	2.630	Mg/m³
calculated total energy	-4.70	eV per atom
ΔH_f (0 K)	-2.14	eV per atom
space group	P-1 (2)

Unit cell a=5.308 b=5.319 c=5.756 alpha=91.18 beta=114.91 gamma=109.41
Element x y z (fractional)
Li  0.217  0.453  0.323
Li  0.077  0.200  0.632
Li  0.424  0.890  0.646
Li  0.667  0.307  0.001
Li  0.333  0.693  0.999
Li  0.576  0.110  0.354
Li  0.923  0.800  0.368
Li  0.783  0.547  0.677
Ni  0.000  0.000  0.000
O  0.875  0.116  0.244
O  0.204  0.797  0.247
O  0.796  0.203  0.753
O  0.125  0.884  0.756
F  0.427  0.523  0.722
F  0.573  0.477  0.278

=====

2.
Material: Li2NiO2F
Method: DFT, GGA+U
State: optimized geometry

Properties
volume	8.58	Å³/atom
mass density	3.986	Mg/m³
calculated total energy	-4.82	eV per atom
ΔH_f (0 K)	-1.98	eV per atom
space group	C2 (5)

Unit cell a=5.030 b=5.030 c=9.576 alpha=85.41 beta=85.41 gamma=120.54
Element x y z (fractional)
Li  0.835  0.659  0.246
Li  0.997  0.489  0.754
Li  0.910  0.090  0.000
Li  0.341  0.165  0.754
Li  0.511  0.003  0.246
Li  0.666  0.846  0.757
Li  0.252  0.748  0.000
Li  0.154  0.334  0.243
Ni  0.748  0.252  0.500
Ni  0.599  0.401  0.000
Ni  0.079  0.921  0.500
Ni  0.413  0.587  0.500
O  0.712  0.577  0.607
O  0.863  0.371  0.122
O  0.765  0.928  0.387
O  0.423  0.288  0.393
O  0.629  0.137  0.878
O  0.371  0.860  0.612
O  0.140  0.629  0.388
O  0.072  0.235  0.613
F  0.963  0.796  0.872
F  0.541  0.689  0.122
F  0.204  0.037  0.128
F  0.311  0.459  0.878

=====

3.
Material: Li6Ni11O2F24
Method: DFT, GGA+U
State: optimized geometry

Properties
volume	11.71	Å³/atom
mass density	3.876	Mg/m³
calculated total energy	-4.50	eV per atom
ΔH_f (0 K)	-2.40	eV per atom
space group	P1 (1)

Unit cell a=7.965 b=7.972 c=8.619 alpha=106.26 beta=106.56 gamma=86.49
Element x y z (fractional)
Li  0.888  0.580  0.752
Li  0.796  0.940  0.546
Li  0.287  0.662  0.102
Li  0.717  0.338  0.891
Li  0.199  0.043  0.442
Li  0.110  0.437  0.264
'''
We read that early Methodist sermons had 4 points:
1. All of us are sinners,
2. All of us can be saved. In contrast to the Calvinist doctrine that some are predestined to be lost and are never quite sure if they are among the "saved."
3. All of us can know we are saved… “the doctrine of Assurance .
4, The 4th point had to do with the work of the holy spirit in daily life… that is …that people can lived like “saved” or Christian people, This is not “ sinless perfection” but “perfect love” or Christian maturity.
None of us are without sin but too many of us like to wallow in our sins, saying, "Well none of us are perfect" and “He’ll understand and say well done.”
John Wesley talked about “perfect love”…not always perfect judgment or perfect ability …but perfect intentions and “perfect love” for God and others.
I like the story the little boy who was tagging along in a field as his dad was plowing on a hot humid day. Soon the little boy ran to the house to get his dad a glass of ice water. He returned to the field smiling as he gave the glass to his dad. The dad noticed the little boy’s muddy fingers had been holding on the inside of the glass and mud was seeping down inside the large glass of water. The child’s love for his dad was perfect, his intensions were perfect but his performance, his ability, sometimes like ours was not perfect.
The boy’s father took the glass, and thankfully drank every drop of the ice water. The Lord can use even our imperfect actions when our heart is right.
Jesus said, “My peace I give unto you, not as the world gives. Let not your heart be troubled, neither let it be afraid.” The peace that Jesus offers is a gift that is a by-product of faith. We receive this gift by faith in Christ. As some of us have been blind to Jesus, so we are blind to the Holy Spirit, the Paraclete, the Helper.
One of the reasons all the bad things happen in our world… The “world” is blind to the “Helper.”
Many of us see peace as an end in itself and search like “orphaned street children” searching for food in garbage cans. We struggle to find peace by taking pills and/or alcohol and other drugs, in all kinds of entertainment and activities, new wives, new husbands, or affairs. We frantically drive seventy miles an hour for hundreds of miles to get to a vacation spot and grit our teeth and say, “I’m going to have a good time if it kills me!”
I read this week that college students interviewed about what they most wanted in life stated’ “What I want most in life is love, happiness and peace.” I have wonderful news today
The 3 most prized possessions student are seeking in life are found in the first 3 of the fruits of the Spirit listed in Galations 5: 22. The list is love, joy, peace, longsuffering, kindness, goodness, faithfulness, gentleness and self control.
While America has never been a quote Christian nation, unquote. This basket full of fruits of the Spirit of God was practiced by enough of our founders; they were able to build the greatest nation the world has ever seen. God bless America and may we see this kind of change again in our great country again.
Carl Frazier received a call that his church had been broken into. He rushed over to see what was missing. He and a church member and the police went through the building and saw that nothing was missing. When they got outside, he realized that his car had been broken into and the robber was still in his car. They called to the burglar and he stood up and pointed a gun at them. Frazier said he was not sure who was more frightened, the robber or them, but the robber for some reason chose to turn and run.
Later when someone said to him, “Somebody sure was watching over you,” Frazier said that was a comforting thought that God was watching over him. And later he thought about it and wondered what the attitude would have been if the guy had pulled the trigger.
Carl concluded that even if the man had pulled the trigger, God would have been watching over him because the love, joy and peace that God offers to us is not the absence of all conflict not the absence of all sorrow, not an escape from worry, but the power to overcome it. The Christian dies like everyone else, but the Christian lives through his death. Paul said, for me to live is Christ but to die is gain.
The Helper that Christ gives us, the peace that the Lord showers upon us in the power of the Holy Spirit, is something that the world cannot give and cannot take away. Even in the midst of an uncivil world of terror and suicide bombers and fanatic enemies.
Into our burdened world of war and terror, of “dog eat dog” work places, of hospitals and nursing homes and funeral parlors, and war, Jesus offers the Paraclete, the Helper alongside us with a shower of gifts like love, joy and peace.
It is more than a beauty rest mattress, or a Lazy Boy recliner at the end of a long and tiring day. It is more than a devoted husband, a cleaning lady, a gardener or a secretary. All of which I sometimes wish for: they are valuable but transient. God is a Helper always present. He abides!.
I love the old camp meeting hymn, “He Abides.”
I’m rejoicing night and day,
As I walk this Pilgrim way.
For the Hand of God in all my life I see.
And the reason for my bliss,
Yes, the reason is all this;
The Comforterer abides with me.
He abides, He abides!
Halleluia He abides with me!
Paul tells it like it is in Romans 8. “Nothing, neither life with all it’s problems and pains, nor death with all its fear and uncertainty, nor angels nor principalities, nor powers, nor things present, nor things to come, nor height, nor depth, nor any other created thing, nothing can separate us from the Love of God which is in Christ Jesus.”
A.Z. Tozier, a theologian and author, said, “The heart of the world is breaking under a load of pride and pretense.” “Pride and pretense” fuels much of our terror and sorrow. “Pride and Pretense is often so strong in our life that if you push it down in one place, it will come up somewhere else. There is no release from this burden apart from the humility of Christ.
On May 24, 1738, John Wesley was a highly educated Oxford don. He was fearful with no peace in his heart. He went quite unwillingly to a church meeting in Altersgate. Someone was reading Luther’s preface to the Book of Romans. Wesley tells us he felt his heart strangely warmed and he knew that Christ had died for the world and also died for him. He knew God had forgiven his sins and saved him from "the law of sin and death." And as we say, the rest is history. Wesley went out from this encounter with the Living Lord to change the World.
I don’t know about you, but I say again, “O God, shower my life with the gift of the Comforter, the Advocate, the Helper to walk with me every day of my life, to fill my heart and my life with your love, Joy and Peace (your shalom)
As we surrender our burdens to God, They are replaced with the going away gift that Jesus left for us, His followers...a shower of gifts that keeps on giving every day of our life and on into eternity with him, Amen.